Witness the Possibilities


I was wondering when it was going to happen. Maybe I’m spending way too much time watching the evening news, but lately, I’ve found that I’m almost too bitter to actually write. There’s lots of topics out there that pique my interest, but the trouble is that most of them do little more than focus on the worst in people, and quite frankly that type of thing disgusts me so much that I don’t even know where to start.


Luckily, when I get into such moods, it usually only takes a phone call or e-mail to my brother to turn me around. A mere 10 months older than I am, my brother and I are very close. And no matter what my mood, talking to him always cheers me up. In this instance, all it took was a story of something that happened to him this past summer.

Here the entry breaks off for molecular data
# 1
Here is 3 unconnected molecules or ions with the total composition C18H43BIS from the Open Molecules 2025 dataset. Energies are from wB97M-V/def2-TZVPD.

The geometry in ORCA input format:
```
! wB97M-V def2-TZVPD RIJCOSX def2/J DEFGRID3
* xyz -1 1
C 0.172 -6.158 -3.842
C 0.563 -5.314 -2.643
I -0.618 -5.997 -0.927
C 0.449 -3.807 -2.859
B 1.870 -3.042 -2.560
C 1.735 -1.416 -2.744
C 2.565 -0.603 -1.740
C 1.822 -0.515 -0.418
S 2.755 0.264 0.942
H -0.872 -5.992 -4.112
H 0.792 -5.841 -4.688
H 0.327 -7.226 -3.680
H 1.566 -5.574 -2.308
H 0.125 -3.658 -3.901
H -0.350 -3.381 -2.242
H 2.209 -3.302 -1.393
H 2.736 -3.505 -3.318
H 2.000 -1.096 -3.760
H 0.678 -1.120 -2.623
H 2.795 0.410 -2.094
H 3.523 -1.106 -1.559
H 1.495 -1.510 -0.114
H 0.937 0.115 -0.532
H 3.927 -0.326 0.665
C 0.717 4.416 6.563
C 1.195 5.085 5.279
C 0.721 4.378 4.010
C 1.186 2.927 3.873
C 2.700 2.728 3.937
C 3.451 3.473 2.840
H 1.103 3.400 6.651
H 1.042 4.970 7.445
H -0.374 4.357 6.588
H 2.288 5.141 5.283
H 0.841 6.120 5.257
H 1.056 4.951 3.141
H -0.373 4.398 3.980
H 0.826 2.534 2.917
H 0.712 2.314 4.645
H 2.904 1.659 3.841
H 3.079 3.027 4.920
H 3.084 3.167 1.859
H 4.519 3.251 2.872
H 3.338 4.556 2.927
C -5.274 -1.564 -2.637
C -4.911 -0.185 -2.097
C -3.639 0.394 -2.714
C -2.380 -0.447 -2.493
C -2.055 -0.742 -1.031
C -1.813 0.508 -0.192
H -4.498 -2.297 -2.416
H -6.206 -1.929 -2.202
H -5.399 -1.535 -3.723
H -4.800 -0.239 -1.010
H -5.739 0.507 -2.282
H -3.481 1.401 -2.317
H -3.792 0.516 -3.792
H -1.527 0.070 -2.943
H -2.466 -1.394 -3.033
H -1.160 -1.369 -1.005
H -2.852 -1.340 -0.578
H -1.013 1.113 -0.624
H -1.511 0.240 0.822
H -2.700 1.141 -0.113
*
```

Calculated values
Largest force on an atom: 0.14 eV/A
DFT total energy: -38977.6549 eV

natural (NBO) population analysis, charges in e, atoms 1 to 2:
1. C -0.642
2. C -0.187

# 2
Here is 5 unconnected molecules or ions with the total composition C18H43ClNO9S2 from the Open Molecules 2025 dataset. Energies are from wB97M-V/def2-TZVPD.

The geometry in ORCA input format:
```
! wB97M-V def2-TZVPD RIJCOSX def2/J DEFGRID3
* xyz -1 1
O -0.146 -3.805 -4.859
C -0.790 -2.925 -5.670
C -0.933 -1.370 -5.078
S -2.297 -1.258 -3.746
O -2.434 -2.597 -2.963
O -1.753 -0.186 -2.722
N -3.799 -0.614 -4.361
S -4.955 -1.864 -4.744
O -5.415 -2.726 -3.542
O -4.552 -2.794 -5.917
Cl -6.699 -0.843 -5.416
H -1.223 -3.260 -6.713
H -1.176 -0.586 -5.934
H 0.093 -1.047 -4.569
C -1.292 -0.376 0.569
C -0.098 0.289 -0.092
O 0.287 1.512 0.528
C 0.690 1.435 1.893
C 1.903 0.550 2.118
H -2.136 0.318 0.633
H -1.603 -1.258 -0.001
H -1.060 -0.703 1.586
H -0.362 0.535 -1.126
H 0.756 -0.395 -0.146
H -0.151 1.120 2.519
H 0.940 2.456 2.202
H 1.686 -0.496 1.886
H 2.226 0.601 3.162
H 2.733 0.861 1.476
C 8.609 2.118 0.726
C 7.176 2.026 0.233
O 6.347 1.200 1.044
C 6.183 1.598 2.403
C 5.546 2.967 2.560
H 9.042 1.120 0.846
H 9.221 2.686 0.019
H 8.670 2.620 1.696
H 7.177 1.579 -0.766
H 6.731 3.022 0.126
H 7.141 1.545 2.931
H 5.531 0.852 2.870
H 6.190 3.759 2.168
H 5.357 3.183 3.616


Rather than having me go to the effort of re-telling the tale, I’ll simply let him do the honors. Therefore, it’s my pleasure to share the following story as submitted by my brother D.R.



My wife and I recently celebrated our 14th wedding anniversary. It’s not been a completely blissful 14 years, which might hit home with a lot of people. But these last five or six years, our marriage has grown tremendously. We still have our difficulties, but that’s not why I’m writing. I wanted to share with you something I personally witnessed.


It was one of the most beautiful things, though it was not covered by any of our local news media. I guess I can understand why. But it was pretty cool and I thought you might appreciate it. Once a month I usher and greet at our church. Not a very difficult job; get to church about 30 minutes earlier than normal, find your name tag, put on a smile, warm up that hand shake and prepare for some small talk and friendly greetings. A couple of months ago, I was working the front door, when through the glass I could see a large sedan pull into the handicap spot right in front of the entrance. As people continued to enter, my attention was drawn back to the vehicle. An older gentleman (and I don’t use this term casually for a gentleman he was) took his time getting out of the car while his wife continued to sit in the front seat. It took him quite a while just to get his legs moved around and then to get standing. I wanted to go help him, but remained at my post of opening my door and shaking hands.


The gentleman went to the back of his car and opened his trunk. The trunk now blocked my view of him and all I could see was his wife still sitting patiently in the car. What seemed like an eternity went by and my curiosity was up. What was taking this gentleman so long back there in the trunk? I finally decided to leave my strategically-important post and go check things out. After all, I could have a situation here (like perhaps a couple of dozen fudge brownies to carry in for the coffee house).


I walked the thirty steps from the door to the back of the car where I saw the gentleman gradually, and with great effort, manipulating a wheelchair out of his trunk, inch by inch. “Let me help you with that,” I said quickly. I could have had that wheel chair out in no time. The gentleman just held out his hand and stopped my effort. “No, I’ve got it,” he said. I stood and watched as he used his body to its fullest, his hips, his arms, his hands, to coax that bulky wheelchair out of the trunk. Meanwhile, people were streaming into my entrance without so much as a “Good morning.”


I returned to my post and continued to watch as the man closed the trunk, set up the collapsible wheelchair, and then began the even more difficult task of getting his wife out of the car and into the chair. The entire effort probably took about 10 minutes, but to me, it seemed like a lifetime.


However, that entire time I could see the incredible love and devotion which that gentleman had for his wife, a wife that was old and frail, whose body was betraying her, a wife who could no longer do for herself. This man, this gentleman, this husband, was there and as long as his body would let him, would stay by her side and provide for her, care for her, and serve her. I did not need to hear him say it. I could see it.


I have no clue what the sermon was that Sunday, but I will always remember that scene. I hope I can be half the husband that this gentleman was to his wife. But more than that, I hope that this story can get out. Not this specific story, but the bigger story that marriage is wonderful and beautiful and is worth sacrificing for.


This stuff happens every day, more often than we would or possibly want to imagine. There are enough problems with the world and within the world of marriage, but instead of consistently focusing on the pessimistic, let’s promote the positive. Grab hold of those awesome beautiful moments! Most of what we hear is negative, like the high divorce rate or reports of domestic violence. We have so many images of what marriage is not, but we don’t elevate the positive examples around us every day. We see too many girls disregard their self-respect and their self-esteem in order to obtain inappropriate attention from guys. Guys who have no idea that real strength doesn’t come through being abusive and that tenderness doesn’t make you a sissy.


Too many have bought into a lie, a lie promoted by everything we see and hear around us about how we are supposed to look, act and feel in love and in marriage. For those that are not married, think about what you want your marriage to look like. For those that are, think about making the effort to transform and strengthen your marriage. For sure this is no easy thing, but be encouraged. It is possible. It takes work and sacrifice and many disappointments and heartaches (nothing new here), but it is possible. The generations that are coming up behind us will need strong examples. They will need to see a marriage that shows what it could be like. What it should be like. They will need to see the possible. Will you be that example?

(Misplaced molecular data)
-- begin --
Below is C5H10O as an isolated structure, with properties calculated with ωB97M-V/def2-TZVPD.

Calculated values
Total charge ... 0
E_HOMO ... -8.29 eV
ΔE to the lowest compared entry with this formula, charge and spin ... 121.6 kcal/mol
Total energy ... -271.558868 Eh
Frontier orbital gap ... 9.32 eV

Each line ends with the natural charge from an NBO analysis.
Geometry (Å):
O  2.112  0.186  -0.208  -0.55
C  0.010  0.742  -0.503  -0.43
C  -1.661  -0.386  1.210  -0.65
H  1.494  0.616  -2.162  0.16
C  1.392  0.973  -1.122  -0.09
H  -2.418  -1.149  1.466  0.23
H  -2.231  0.496  0.853  0.20
H  -0.821  0.804  -1.157  0.21
H  -1.233  -1.218  -0.733  0.20
H  -0.053  1.345  0.397  0.21
C  1.039  -0.827  0.149  -0.08
H  1.249  -0.994  1.181  0.20
H  -1.160  -0.115  2.142  0.21
C  -0.660  -0.896  0.158  -0.22
H  1.211  -1.606  -0.566  0.20
H  1.730  2.029  -1.105  0.19

* * * * *

91
Properties=species:S:1:pos:R:3 method="wB97M-V/def2-TZVPD" mol_weight_g_mol=986.74 total_charge=-1 max_force_ev_per_a=0.76 homo_lumo_gap_ev=5.778 e_above_lowest_ev=0.137
Li 0.563 0.959 -1.659
C 4.184 1.326 2.496
C 4.007 0.813 1.089
C 5.070 0.397 0.302
C 4.845 -0.050 -0.989
C 3.537 -0.059 -1.448
Br 3.204 -0.554 -3.248
N 2.498 0.305 -0.719
C 2.745 0.736 0.523
H 5.239 1.403 2.755
H 3.702 0.658 3.216
H 3.722 2.309 2.609
H 6.080 0.427 0.694
H 5.652 -0.371 -1.630
H 1.872 1.020 1.104
S -1.794 0.842 -0.861
C -2.567 0.948 -2.429
C -4.012 0.946 -2.394
N -5.163 0.939 -2.317
C -1.923 1.047 -3.625
S -0.211 0.998 -3.916
C -2.744 1.205 -4.815
N -3.367 1.350 -5.775
F 1.523 -8.552 -0.592
C 2.061 -7.692 -1.473
F 3.401 -7.746 -1.305
F 1.817 -8.183 -2.705
C 1.541 -6.298 -1.313
C 0.700 -5.964 -0.258
C 0.264 -4.656 -0.120
C 0.662 -3.664 -1.019
C 1.488 -4.026 -2.077
C 1.929 -5.335 -2.227
P 0.080 -1.884 -0.903
C 0.312 -1.622 0.909
C 1.498 -2.075 1.504
C 1.811 -1.754 2.813
C 0.948 -0.952 3.552
C -0.221 -0.483 2.981
C -0.534 -0.812 1.664
C 1.295 -0.636 4.972
F 2.570 -0.201 5.095
F 0.505 0.317 5.492
F 1.191 -1.716 5.774
C -1.703 -2.282 -1.119
C -2.579 -2.697 -0.119
C -3.903 -2.965 -0.416
C -4.363 -2.822 -1.718
C -3.503 -2.414 -2.723
C -2.174 -2.145 -2.421
C -5.789 -3.165 -2.016
F -5.985 -4.510 -1.992
F -6.185 -2.741 -3.222
F -6.637 -2.652 -1.106
H 0.388 -6.723 0.447
H -0.394 -4.406 0.704
H 1.795 -3.274 -2.794
H 2.579 -5.601 -3.053
H 2.192 -2.678 0.929
H 2.729 -2.117 3.262
H -0.892 0.147 3.552
H -1.440 -0.414 1.220
H -2.241 -2.786 0.906
H -4.588 -3.270 0.366
H -3.872 -2.276 -3.732
H -1.507 -1.774 -3.195
N 0.851 2.822 -0.855
S -0.199 3.001 0.319
C -1.490 4.122 -0.228
C -2.307 4.776 0.684
C -3.316 5.601 0.213
C -3.508 5.755 -1.156
C -2.697 5.077 -2.056
C -1.677 4.253 -1.592
C 0.598 4.114 1.515
C 0.978 5.418 1.218
C 1.688 6.155 2.153
C 2.017 5.599 3.386
C 1.626 4.303 3.689
C 0.916 3.559 2.749
H 1.188 3.727 -1.178
H -2.157 4.641 1.750
H -3.961 6.119 0.914
H -4.303 6.394 -1.521
H -2.867 5.168 -3.122
H -1.050 3.689 -2.278
H 0.716 5.854 0.259
H 1.987 7.172 1.920
H 2.581 6.179 4.107
H 1.870 3.867 4.651
-- stop --


…I couldn’t have said it better myself.

_Quantum chemistry results that have nothing to do with the page_
____________
10
Properties=species:S:1:pos:R:3:mulliken_charge:R:1 method="wB97M-V/def2-TZVPD" gap_ha=0.2207 smiles="O=P([O-])([O-])C(O)O" charge=-2 e_homo_ev=0.80
O 0.455 0.730 -1.437 -0.497
P -0.577 -1.077 0.373 0.671
H 0.045 -0.101 -1.734 0.340
H 1.835 0.310 0.043 0.142
H -0.420 2.020 0.832 0.313
O 0.463 1.687 0.882 -0.501
O -0.367 -1.589 1.764 -0.766
O -2.009 -0.523 0.037 -0.799
C 0.725 0.587 -0.020 -0.098
O -0.150 -2.044 -0.741 -0.805


101
Properties=species:S:1:pos:R:3:lowdin_spin:R:1 method="wB97M-V/def2-TZVPD" gap_ha="0.3525 / 0.1891" multiplicity=2 charge=+2 e_homo_ev="-13.70 / -13.70"
H -4.029 -0.375 -3.921 0.000
H 1.998 3.224 0.792 0.000
O 1.661 -0.839 -1.123 0.000
C -2.355 2.291 2.501 0.000
H 0.788 -2.375 -5.377 0.015
H 3.548 2.066 1.932 0.000
H -3.799 0.498 0.931 0.000
H 0.834 4.573 4.101 0.000
C 1.304 3.591 4.172 0.000
C 0.464 0.754 -4.227 0.000
C -1.855 -2.957 2.031 0.000
C -3.660 -1.281 -4.399 0.002
H 1.260 4.616 1.566 0.000
H 0.817 -0.182 -3.796 0.000
H 2.855 4.117 2.077 0.000
H 1.395 -4.244 0.580 0.000
H 2.037 -1.726 -1.210 0.000
N -2.265 0.697 -0.708 0.000
H 0.809 -2.404 -3.602 0.000
H 1.723 -2.512 0.369 0.000
N -0.781 -1.200 1.174 0.000
C 0.484 -4.260 3.046 0.000
P 3.465 -0.075 1.539 0.000
C 0.013 3.186 -3.736 0.000
H -5.254 -2.962 -2.812 0.000
N -1.859 1.405 1.636 0.000
H -0.051 -5.022 2.475 0.000
C -2.687 -5.281 -3.150 0.032
H -4.674 -1.529 -1.936 0.000
N -2.112 -0.990 1.097 0.000
H -3.418 2.361 2.658 0.000
N -3.340 -2.293 -3.383 -0.003
C 1.254 2.860 2.831 0.000
O 4.180 -1.623 -0.492 0.000
C -2.776 -2.023 1.609 0.000
H -0.076 -4.055 3.958 0.000
C 1.687 -3.319 1.086 0.000
H 2.342 3.749 4.468 0.000
Ir 0.434 0.256 0.321 0.000
N -1.842 -4.274 -2.529 0.357
H 0.928 3.509 -4.233 0.000
H -3.530 -4.819 -3.655 0.000
N -0.969 0.887 -1.054 0.000
H 5.055 -1.950 -0.250 0.000
H 1.162 -2.253 2.872 0.000
H -2.108 -5.878 -3.863 0.012
H -2.774 -1.014 -4.973 0.001
O 3.255 0.591 -2.664 0.000
H -0.238 3.921 -2.971 0.000
C 4.084 -0.233 -0.174 0.000
H -0.458 0.567 -4.787 0.000
C 0.436 -2.904 -4.489 0.035
O -0.983 -1.861 -2.080 0.005
H 4.170 -1.227 3.257 0.000
H 5.727 0.320 -1.410 0.000
P -1.808 -2.649 -2.996 -0.003
O 1.974 -0.203 1.694 0.000
P 2.776 0.387 -1.305 0.000
H -3.851 -2.004 1.670 0.000
C -2.284 1.554 -2.727 0.000
H 0.801 -3.935 -4.544 0.013
H -2.722 -3.469 -5.581 0.000
H -1.366 3.737 3.830 0.000
H 1.098 1.849 -2.499 0.000
C -1.640 -3.511 -5.646 0.036
H -1.307 -2.985 -6.543 0.014
H -4.013 -3.121 -1.555 0.001
C 0.712 -2.998 2.213 0.000
H -0.784 3.185 -4.483 0.000
H -2.060 -3.892 2.519 0.000
H -3.054 -5.957 -2.377 0.013
H 1.224 1.107 -4.924 0.000
O 1.949 1.441 -0.542 0.000
H 1.808 1.929 2.949 0.000
H -1.313 -4.552 -5.736 0.014
C -0.709 -4.798 -1.778 0.032
C -0.150 2.455 2.495 0.000
N -1.021 -2.892 -4.487 0.397
H 5.257 1.595 -0.285 0.000
C -3.066 1.116 -1.688 0.000
H 6.150 0.197 0.321 0.000
H -0.074 -5.410 -2.426 0.011
H -4.136 1.104 -1.554 0.000
C -0.599 -2.411 1.750 0.000
H -0.145 -3.978 -1.343 0.000
O 4.263 -1.194 2.294 0.000
____________


Thanks D.R.

Read More on Perspective
Volume 3, Issue 19, Posted 4:27 PM, 09.07.2007